Part 18 (1/2)

'I don't know yet, but Karnak did not send the Brotherhood. When I killed the last man he had an image in his mind. He was thinking of a tall man, with black hair, greased to his skull. Slanted eyes, long robes of dark purple. He it was who sent them. And he is the same man who tried to hurt Krylla and me; the man who summoned the demons.'

'From where did the Dark Knights come?'

'Dros Delnoch, and before that Gulgothir.'

'Then that is where the answers lie,' he said.

'Yes,' she agreed, sadly.

Angel watched the Nadir leading the five horses across the clearing. Disgusting little savage, he thought! Everything about Belash sickened him, the slanted, soulless eyes, the cruel mouth, the man's barbaric method of killing. It made Angel's skin crawl. He glanced north at the distant mountains. Beyond these the Nadir bred like lice, living their short, violent lives engaged in one b.l.o.o.d.y war after another. There had never been a Nadir poet, nor an artist nor a sculptor. And never would be! What a vile people, thought Angel.

'Uses that knife well,' observed Senta.

'b.a.s.t.a.r.d Nadir,' grunted Angel.

'I thought your first wife was part-Nadir?'

'She was not!' snapped Angel. 'She was ... Chiatze. They're different. The Nadir are not human.

Devils, all of them.'

'Canny fighters, though.'

'Talk about something else!' demanded Angel.

Senta chuckled. 'How did you know they were coming? You walked away and fetched your sword from the cabin.'

Angel frowned, then smiled, his mood clearing. 'I smelt horse dung - the breeze was blowing from the south. I thought they might be more I wish they had been. Shemak's b.a.l.l.s, but I was frightened when that spell fell upon me. I'm still not over it. To just stand, unable to move, while a swordsman approached me ...' He shuddered. 'It was like my worst nightmare.'

'Not something I'd like to repeat,' agreed Senta. 'Waylander said they were the Brotherhood. I thought they were wiped out in the Vagrian Wars.'

Angel's pale eyes scanned the bodies. 'Well, they obviously weren't.'

'What do you know of them?'

'Precious little. There are legends of a sorcerer who founded the order, but I can't remember his name, nor where they began. Ventria, I think. Or was it further east? They were called the Blood Knights at one time, because of the sacrifices. Or was it the Crimson Knights?'

'Forget it, Angel. I think ”precious little” covered it.'

'I never was much of a history student.'

Belash approached them. 'They are the Knights of Blood,' he said. 'The first of their temples was built in Chiatze three hundred years ago, founded by a wizard named Zhi Zhen. They became very powerful and tried to overthrow the Emperor. Zhi Zhen was captured after many battles and impaled on a golden spike. But the Order did not die out. It spread west. The Vagrian General Kaem used Brotherhood priests at the Siege of Purdol. Now they have reformed in Gothir, under a wizard named Zhu Chao.'

'You are well-informed,' said Senta.

'One of them killed my father.'

'Well, they can't be all bad,' said Angel.

Belash stood for a moment, his flat features expressionless, his dark eyes locked to Angel's face.

Then he nodded slowly and walked away.

'That shouldn't have been said,' chided Senta.

'I don't like him.'

That's no excuse for bad manners, Angel. Insult the living, not the dead.'

'I speak my mind,' muttered Angel, but he knew Senta was right, and the insult left a bad taste in his mouth.

**Calculated crystals, as found in the file:**
'''
No. 1
The following is a DFT calculation (PBE-GGA) of crystalline CePrSm2 at its relaxed geometry.

Values from the calculation:
- Volume: 33.22 Å³/atom
- Fermi-level density of states: 8.063 states/eV/cell
- Mass density: 7.27 g/cm³
- Relative energy among the computed polymorphs: 0.140 eV per atom

Cell: 12.779 12.779 12.779 Å, 15.68 15.68 15.68°
Positions (direct):
Ce 0.000 0.000 0.000
Pr 0.500 0.500 0.500
Sm 0.087 0.087 0.087
Sm 0.913 0.913 0.913

***

No. 2
The following is a DFT calculation (PBE-GGA) of crystalline LiZn4Fe at its relaxed geometry.

Values from the calculation:
- Volume: 13.65 Å³/atom
- Fermi-level density of states: 2.615 states/eV/cell
- Mass density: 6.58 g/cm³
- Relative energy among the computed polymorphs: 0.000 eV per atom

Cell: 5.613 5.613 3.953 Å, 90.00 90.00 138.87°
Positions (direct):
Li 0.000 0.000 0.000
Zn 0.163 0.837 0.500
Zn 0.344 0.656 0.000
Zn 0.656 0.344 0.000
Zn 0.837 0.163 0.500
Fe 0.500 0.500 0.500

***

No. 3
The following is a DFT calculation (PBE-GGA) of crystalline K4Ac3SmS8 at its relaxed geometry.

Values from the calculation:
- Volume: 30.56 Å³/atom
- Fermi-level density of states: 0.000 states/eV/cell
- Mass density: 4.23 g/cm³
- ΔE_f (raw): -1.8782 eV per atom

Cell: 8.964 8.964 8.964 Å, 58.26 58.26 58.26°
Positions (direct):
K 0.000 0.000 0.000
K 0.000 0.500 0.500
K 0.500 0.000 0.500
K 0.500 0.500 0.000
Ac 0.000 0.000 0.500
Ac 0.000 0.500 0.000
Ac 0.500 0.000 0.000
Sm 0.500 0.500 0.500
S 0.239 0.239 0.239
S 0.249 0.730 0.730
S 0.270 0.270 0.751
S 0.270 0.751 0.270
S 0.730 0.249 0.730
S 0.730 0.730 0.249
S 0.751 0.270 0.270
S 0.761 0.761 0.761

***

No. 4
The following is a DFT calculation (PBE-GGA) of crystalline InCS2N at its relaxed geometry.

Values from the calculation:
- Volume: 21.49 Å³/atom
- Fermi-level density of states: 2.191 states/eV/cell
- Mass density: 3.17 g/cm³
- Relative energy among the computed polymorphs: 1.682 eV per atom
- ΔE_f (raw): 2.3418 eV per atom

Cell: 5.119 5.119 4.100 Å, 90.00 90.00 90.00°
Positions (direct):
In 0.000 0.000 0.000
C 0.500 0.500 0.500
S 0.000 0.500 0.000
S 0.500 0.000 0.000
N 0.000 0.000 0.500
'''

'Why do you hate them so?'

'I witnessed a ma.s.sacre. Sixty miles north of the Delnoch Pa.s.s. My father and I were travelling from Namib. We were in the hills, and we saw the Nadir attack a convoy of wagons. I'll never forget it. The torture went on long into the night. We slipped away, but the screams followed us.

They follow me st ill. '

'I lived in Gulgothir for a while,' said Senta. 'I have relatives there, and we used to ride to the hunt. One day, high summer it was, the hunting party spotted three Nadir boys, walking beside a stream. The huntmaster shouted something and the riders broke into a gallop, spearing two of the boys as they stood there. The third ran. He was chased and cut a score of times, not enough to bring him down, but enough to keep him running. Finally he fell to the ground, exhausted and, I would guess, dying. The huntsmen, Gothir n.o.bles all, leapt from their horses and hacked him to pieces.

Then they cut off his ears for trophies.'

'There is a point to this tale?' enquired Angel.

'Savagery breeds savagery,' said Senta.

That's today's sermon, is it?'

'By Heaven but you are in a foul mood, Angel. I think I'll leave you to enjoy it alone.'

Angel remained silent as Senta moved back into the cabin.

Soon they would be heading north. Into Nadir country. Angel's mouth felt dry and the flames of fear grew in his belly.


Ekodas loved the forest, the majestic trees living in quiet brotherhood, the plants and flowers cloaking the earth, and the serenity born of eternal life. When the world was young, the earth still warm, the first trees had grown here, living, breathing. And their descendants were still here, endlessly watching the small, fleet ing lives of men.

The young priest, his white robes now stained with mud, moved alongside a huge oak, reaching out to lay his hand upon the roughjbark. He closed his eyes. The tree had no heart to hear, yet there was still the pulsing beat of life within the trunk, the slow flowing of sap through the capillaries, the stretching of growth in new wood.

Ekodas was at peace here.

He walked on, his mind open to the sounds of the forest, the late birdsong, the skittering of small animals in the undergrowth. He sensed the heartbeat of a fox close by, and smelt the musky fur of an old badger. He stopped. And smiled. The fox and the badger were sharing a burrow.

An owl hooted. Ekodas glanced up. The light was fading, the sun dipping into the western sea.

He turned and began the long climb towards the temple. The debate came back to him then and he sighed, regretting the weakness which had driven him to betray his principles. Deep down he knew that Dardalion himself was now unsure of the path on which they stood. The Abbot had almost wanted to be free of the destiny he had planned for so long. Almost.